Tuesday, September 21, 2010

Sept. 21st, Dinuba-Fresno-Clovis-Hanford

Next to the text, the page also holds materials data =
____________
(1)
VASP calculation (r²SCAN) on crystalline Ho2Si5Rh3 at its relaxed geometry.

Properties
space group	No. 72
size of the total moment	0.00	μB per formula unit
ΔH_f (0 K)	-1.02	eV per atom

a b c (Å): 8.1004 8.1004 8.1004
angles (deg): 105.23 89.11 138.84
Closest atoms and distances in Å follow each position.
Element x y z (fractional)
Ho 0.1318 0.2309 0.3627  10 Si 2.95-3.18, 3 Rh 3.06-3.09
Ho 0.3682 0.7309 0.0991  10 Si 2.95-3.18, 3 Rh 3.06-3.09
Ho 0.6318 0.2691 0.9009  10 Si 2.95-3.18, 3 Rh 3.06-3.09
Ho 0.8682 0.7691 0.6373  10 Si 2.95-3.18, 3 Rh 3.06-3.09
Si 0.0282 0.7500 0.2782  3 Rh 2.40-2.56, 2 Si 2.49
Si 0.1056 0.6573 0.7629  3 Rh 2.32-2.43, 2 Si 2.49
Si 0.2500 0.2500 0.0000  4 Rh 2.41
Si 0.3944 0.1573 0.5517  3 Rh 2.32-2.43, 2 Si 2.49
Si 0.4718 0.7500 0.7218  3 Rh 2.40-2.56, 2 Si 2.49
Si 0.5282 0.2500 0.2782  3 Rh 2.40-2.56, 2 Si 2.49
Si 0.6056 0.8427 0.4483  3 Rh 2.32-2.43, 2 Si 2.49
Si 0.7500 0.7500 0.0000  4 Rh 2.41
Si 0.8944 0.3427 0.2371  3 Rh 2.32-2.43, 2 Si 2.49
Si 0.9718 0.2500 0.7218  3 Rh 2.40-2.56, 2 Si 2.49
Rh 0.1401 0.8900 0.0301  5 Si 2.32-2.41
Rh 0.2500 0.7500 0.5000  6 Si 2.43-2.56
Rh 0.3599 0.3900 0.7500  5 Si 2.32-2.41
Rh 0.6401 0.6100 0.2500  5 Si 2.32-2.41
Rh 0.7500 0.2500 0.5000  6 Si 2.43-2.56
Rh 0.8599 0.1100 0.9699  5 Si 2.32-2.41

***

(2)
VASP calculation (r²SCAN) on crystalline HoSi2Rh3 at its relaxed geometry.

Properties
space group	No. 191
size of the total moment	0.00	μB per formula unit
ΔH_f (0 K)	-1.08	eV per atom

a b c (Å): 5.4751 5.4751 3.6477
angles (deg): 90.00 90.00 120.00
Closest atoms and distances in Å follow each position.
Element x y z (fractional)
Ho 0.0000 0.0000 0.0000  6 Si 3.16, 12 Rh 3.29
Si 0.3333 0.6667 0.0000  6 Rh 2.41
Si 0.6667 0.3333 0.0000  6 Rh 2.41
Rh 0.0000 0.5000 0.5000  4 Si 2.41
Rh 0.5000 0.0000 0.5000  4 Si 2.41
Rh 0.5000 0.5000 0.5000  4 Si 2.41

***

(3)
VASP calculation (r²SCAN) on crystalline SmHoRh2 at its relaxed geometry.

Properties
space group	No. 225
size of the total moment	0.00	μB per formula unit
ΔH_f (0 K)	-0.86	eV per atom

a b c (Å): 6.8715 6.8715 6.8715
angles (deg): 90.00 90.00 90.00
Closest atoms and distances in Å follow each position.
Element x y z (fractional)
Sm 0.0000 0.0000 0.0000  8 Rh 2.98
Sm 0.0000 0.5000 0.5000  8 Rh 2.98
Sm 0.5000 0.0000 0.5000  8 Rh 2.98
Sm 0.5000 0.5000 0.0000  8 Rh 2.98
Ho 0.0000 0.0000 0.5000  8 Rh 2.98
Ho 0.0000 0.5000 0.0000  8 Rh 2.98
Ho 0.5000 0.0000 0.0000  8 Rh 2.98
Ho 0.5000 0.5000 0.5000  8 Rh 2.98
Rh 0.2500 0.2500 0.2500  4 Ho 2.98, 4 Sm 2.98
Rh 0.2500 0.2500 0.7500  4 Ho 2.98, 4 Sm 2.98
Rh 0.2500 0.7500 0.2500  4 Ho 2.98, 4 Sm 2.98
Rh 0.2500 0.7500 0.7500  4 Ho 2.98, 4 Sm 2.98
Rh 0.7500 0.2500 0.2500  4 Ho 2.98, 4 Sm 2.98
Rh 0.7500 0.2500 0.7500  4 Ho 2.98, 4 Sm 2.98
Rh 0.7500 0.7500 0.2500  4 Ho 2.98, 4 Sm 2.98
Rh 0.7500 0.7500 0.7500  4 Ho 2.98, 4 Sm 2.98

***

(4)
VASP calculation (r²SCAN) on crystalline HoSnRh2 at its relaxed geometry.

Properties
space group	No. 225
____________

I just took a big bite of cooked spinach, its leaving a bad taste indeed. Better, its now being masked by a coat of pesto and sundried tomato. Much better. I'm a walking commercial for Tide Sticks, as some delicious pesto also decided to grace my white skirt. Tide Stick to the rescue!

Last night I stayed in Dinuba, I loved it. Prayers must have been going out, which is much appreciated, because I felt like I got a pretty good nights rest. I was asleep before 11pm and only woke up once or twice in the night, that was exponentially better that the past weeks attempts. I'm currently sitting in a Starbucks, whats new. Must be a popular one because there wasn't even an opportunity to stalk a table and chair its so busy. I ended up sharing the handicap table, near an outlet, with a kid on his laptop, nice enough and quiet. Perfect. Probably looked to everyone else that I was hitting on him by asking to share the rather large table, and I'm okay with that as long as I get an outlet for my dead computer and free internet.

I have discovered another town I love- Reedley. I had a school visit there this morning, the counselors were so nice and friendly. I had a little extra time after so I went and walked the river a bit that was near the school before heading back into Fresno for more visits and a fair tonight. It was probably the most perfect floating river I've ever seen, just enough current to drift you down slowly, sleepily even. I was taking some photos, stepping through roots embedded into this hillside, and then flowing down into the riverbed, to get the best shot. I started noticing that the roots were moving, here and there....these fairly large brown lizards were racing around! I probably should've moved out of the roots with the fact that I have a skirt and sandals on, but I got distracted by some spider webs and watching the lizards. It did cross my mind that California probably has more poisonous and aggressive species of reptiles and arachnids, but I just didn't care, it was too beautiful outside and too intriguing. I do have to wonder what the few people sitting in their cars in the parking lot were thinking about the lady dressed in professional clothes rummaging around in tree roots. To each their own is what I say...

I think the rest of this week will go by quickly, with my mom meeting me tomorrow in Bakersfield. Just having someone to talk to makes the time go by quickly. Although my imagination does a pretty great job of entertaining me on the road, seriously, I literally wonder if I have a mental issue with how much my mind can wander and amuse itself for hours. Is that normal? I don't even know, and I have a psych degree, you'd think I'd know that answer. I play with bugs, that is my only defense. Well, if defense also equals evidence for not normal.

For family out there, I think this Thanksgiving we should serve food in the shelter. I actually want to do that on a consistent basis, but also don't want to do it alone. I know, whats this year gets going and it starts to get dark around 5pm it wouldn't be the most ideally safe situation to put myself in, so anyone else interested? I was thinking about that this morning.

I have a bruise on my left upper arm, where the humorous is. How did I get said bruise one may be asking? By getting hit by an elevator door. When I was leaving the Holiday Inn in Downtown Fresno, my bag was so incredibly heavy because I had a box of literature fresh from the mail on top of it as I tried to get into an elevator. Not quick enough, I think that demon machine wanted to crush my bones into powder. It hurt for like an hour after. Be proud, I didn't even curse or anything, not even in a British accent because that would've made it okay.

Perhaps, more to come tonight after the Fair and drive to the next city I'm staying.

1 comment:

Jared said...

Phooey! I had a feeling you were keeping this one updated. I should have checked it sooner. =( I'll have to catch up on my reading for sure. =) But that shall have to wait for another night. 7:55am visit tomorrow morning about ooooh an hour away. =/ Praying for you Case'. LOVE some of those pictures! (Insert jealous jaw dropping here)